**Assignment:**
Write out the lines further down up to the one that holds "-0.516 2.331", that line included, please.

**Listing:**
~~~
Record 1
C5H14N4O | ωB97M-V/def2-TZVPD

The value obtained for the energy above the lowest of the compared OMol25 structures with the same formula, charge and spin is 38.9 kcal/mol. The value obtained for the orbital gap is 9.618 eV. The value obtained for the largest force on an atom is 0.0178 Eh/bohr. The HOMO energy comes out at -8.7796 eV.

CARTESIAN COORDINATES (ANGSTROEM)
H: -2.123 -1.340 -1.158
N: -1.733 -1.962 -0.452
C: -0.482 -1.844 -0.285
C: 0.225 -2.713 0.705
N: 0.305 -0.958 -0.957
N: 1.682 -0.850 -0.726
H: -0.501 -3.348 1.202
H: 0.964 -3.324 0.192
H: 0.751 -2.097 1.432
H: -0.152 -0.320 -1.604
H: 1.898 0.031 -0.254
H: 2.197 -0.901 -1.602
H: 1.238 1.008 1.846
N: 1.014 1.430 0.948
C: -0.212 1.376 0.638
C: -1.336 0.778 1.435
O: -0.651 1.923 -0.504
C: 0.277 2.654 -1.290
H: -0.967 0.024 2.120
H: -1.824 1.572 2.009
H: -2.077 0.334 0.775
H: -0.250 3.522 -1.676
H: 1.124 2.961 -0.674
H: 0.635 2.046 -2.120

=====

Record 2
C5H14N4O | ωB97M-V/def2-TZVPD

The value obtained for the energy above the lowest of the compared OMol25 structures with the same formula, charge and spin is 90.5 kcal/mol. The value obtained for the orbital gap (alpha / beta) is 8.081 / 8.082 eV. The value obtained for the largest force on an atom is 0.0591 Eh/bohr. The HOMO energy (alpha / beta) comes out at -7.6292 / -7.6295 eV.

CARTESIAN COORDINATES (ANGSTROEM)
C: 1.828 0.143 1.629
C: -0.963 1.457 1.401
N: 1.203 0.363 0.339
C: -0.246 1.203 0.089
O: -0.080 2.112 -0.733
H: 1.845 0.762 -0.345
H: 2.780 -0.378 1.505
H: 2.003 1.088 2.153
H: 1.178 -0.482 2.242
H: -0.914 0.606 2.079
H: -2.006 1.678 1.181
H: -0.516 2.331 1.876
C: 1.047 -1.660 -1.293
C: -0.893 -0.298 -0.692
N: -1.053 -0.062 -2.103
N: -2.151 -0.722 -0.112
N: 0.216 -1.042 -0.284
H: -0.510 0.762 -2.358
H: -2.024 0.175 -2.272
H: -2.424 -1.610 -0.528
H: -2.047 -0.887 0.881
H: 0.449 -2.462 -1.738
H: 1.928 -2.089 -0.816
H: 1.351 -0.988 -2.101

=====

Record 3
C5H14N5P | ωB97M-V/def2-TZVPD

The value obtained for the energy above the lowest of the compared OMol25 structures with the same formula, charge and spin is 53.0 kcal/mol. The value obtained for the orbital gap is 10.084 eV. The value obtained for the largest force on an atom is 0.0716 Eh/bohr. Its charge is +2. The HOMO energy comes out at -16.6324 eV.

CARTESIAN COORDINATES (ANGSTROEM)
C: -0.557 1.736 -0.347
C: 2.932 -4.092 0.589
C: 0.584 3.757 -1.134
C: -1.664 3.122 -1.738
C: -2.261 -1.663 0.663
N: -0.732 0.876 0.404
N: 0.531 -1.234 1.310
N: 3.970 -4.294 1.049
N: -0.386 2.719 -1.084
N: 1.718 -3.832 0.316
P: -0.874 -0.604 1.229
H: 1.586 3.449 -1.031
H: 0.516 4.404 -1.982
H: 0.478 4.489 -0.278
H: -2.348 2.194 -1.834
H: -1.948 3.961 -1.172
H: -1.312 3.507 -2.757
H: -2.537 -2.302 1.631
H: -3.130 -1.063 0.487
H: -2.101 -2.324 -0.180
H: 1.173 -1.062 2.024
H: 5.047 -4.397 1.128
H: 1.279 -4.325 -0.416
H: 1.307 -2.828 0.661
H: -1.270 -0.192 2.463

=====

Record 4
C5H14N6PS | ωB97M-V/def2-TZVPD

The value obtained for the energy above the lowest of the compared OMol25 structures with the same formula, charge and spin is 11.7 kcal/mol. The value obtained for the orbital gap (alpha / beta) is 7.692 / 7.691 eV. The value obtained for the largest force on an atom is 0.1182 Eh/bohr. Its charge is +1. The HOMO energy (alpha / beta) comes out at -10.9458 / -10.9451 eV.

CARTESIAN COORDINATES (ANGSTROEM)
C: 2.446 -1.150 0.443
C: -0.895 3.201 1.509
C: 0.028 -0.562 -2.321
C: -0.017 -3.134 1.250
C: -2.196 2.512 -1.045
N: -0.672 2.205 0.753
N: 1.856 -0.828 -0.695
N: 0.497 -0.851 -0.934
N: 0.321 -1.769 1.404
N: 1.687 -1.711 1.436
N: -1.182 1.799 -0.431
P: -0.500 -0.617 0.445
S: 0.358 0.955 1.462
H: 3.445 -1.174 0.590
H: -0.213 3.215 2.331
H: -1.589 3.921 1.232
H: -1.043 -0.820 -2.155
H: -0.023 0.547 -2.597
H: 0.835 -0.960 -2.945
H: 0.367 -3.585 0.323
H: 0.445 -3.552 2.084
H: -1.048 -3.326 1.093
H: -2.131 3.576 -1.057
H: -2.078 2.213 -2.132
H: -3.250 2.239 -0.901
H: 2.350 -0.379 -1.399
H: 2.202 -1.966 2.257

=====
~~~

**Outcome:**
Record 1
C5H14N4O | ωB97M-V/def2-TZVPD

The value obtained for the energy above the lowest of the compared OMol25 structures with the same formula, charge and spin is 38.9 kcal/mol. The value obtained for the orbital gap is 9.618 eV. The value obtained for the largest force on an atom is 0.0178 Eh/bohr. The HOMO energy comes out at -8.7796 eV.

CARTESIAN COORDINATES (ANGSTROEM)
H: -2.123 -1.340 -1.158
N: -1.733 -1.962 -0.452
C: -0.482 -1.844 -0.285
C: 0.225 -2.713 0.705
N: 0.305 -0.958 -0.957
N: 1.682 -0.850 -0.726
H: -0.501 -3.348 1.202
H: 0.964 -3.324 0.192
H: 0.751 -2.097 1.432
H: -0.152 -0.320 -1.604
H: 1.898 0.031 -0.254
H: 2.197 -0.901 -1.602
H: 1.238 1.008 1.846
N: 1.014 1.430 0.948
C: -0.212 1.376 0.638
C: -1.336 0.778 1.435
O: -0.651 1.923 -0.504
C: 0.277 2.654 -1.290
H: -0.967 0.024 2.120
H: -1.824 1.572 2.009
H: -2.077 0.334 0.775
H: -0.250 3.522 -1.676
H: 1.124 2.961 -0.674
H: 0.635 2.046 -2.120

=====

Record 2
C5H14N4O | ωB97M-V/def2-TZVPD

The value obtained for the energy above the lowest of the compared OMol25 structures with the same formula, charge and spin is 90.5 kcal/mol. The value obtained for the orbital gap (alpha / beta) is 8.081 / 8.082 eV. The value obtained for the largest force on an atom is 0.0591 Eh/bohr. The HOMO energy (alpha / beta) comes out at -7.6292 / -7.6295 eV.

CARTESIAN COORDINATES (ANGSTROEM)
C: 1.828 0.143 1.629
C: -0.963 1.457 1.401
N: 1.203 0.363 0.339
C: -0.246 1.203 0.089
O: -0.080 2.112 -0.733
H: 1.845 0.762 -0.345
H: 2.780 -0.378 1.505
H: 2.003 1.088 2.153
H: 1.178 -0.482 2.242
H: -0.914 0.606 2.079
H: -2.006 1.678 1.181
H: -0.516 2.331 1.876